Brief:
Please type out all of the rows further below with every line break kept.

Listing:
+++
Record 1
Formula: CH4OS2
Source: the Open Molecules 2025 dataset
Level of theory: ωB97M-V with the def2-TZVPD basis set

```
8
Properties=species:S:1:pos:R:3:forces:R:3:lowdin_charge:R:1
C -0.33719 -0.79600 0.21304 1.363 1.786 0.902 -0.309
O -1.44829 -0.43366 0.79926 -0.087 -1.034 1.282 -0.575
S 1.22405 1.07128 0.25963 -1.134 -2.001 -3.144 0.443
S -2.18022 0.80654 -0.00550 -0.050 0.698 -0.866 0.825
H 0.27225 -1.47616 0.74064 0.331 -0.814 0.457 0.068
H -0.38084 -0.78502 -0.84312 0.422 -0.247 -1.088 0.048
H 1.48768 1.42304 1.44427 0.046 0.296 2.570 -0.317
H -0.92708 1.03773 -0.52120 -0.892 1.316 -0.115 -0.184
```
Forces are in eV/Å.

Calculated values
- E_LUMO (eV) = -0.19
- highest occupied orbital energy (eV) = -8.8
- energy (hartree) = -911.99233
- orbital gap (eV) = 8.632
- energy relative to the best compared isomer or geometry (same formula, charge and spin) (kJ/mol) = 260.5
- total charge = 0
- spin multiplicity = 1

---

Record 2
Formula: C13H40N2O9P2RuSi4
Source: the Open Molecules 2025 dataset
Level of theory: ωB97M-V with the def2-TZVPD basis set

```
71
Properties=species:S:1:pos:R:3:forces:R:3:lowdin_charge:R:1
Ru -0.87992 -0.13102 0.33043 -0.002 -0.113 -0.117 1.238
C -3.82784 0.45314 4.36846 0.023 0.036 -0.026 -0.060
C -3.69633 0.34970 2.84929 -0.063 -0.094 0.129 -0.586
O -4.98730 0.42481 2.22018 0.032 0.000 -0.051 -0.068
P -2.87162 1.81813 2.15267 -0.170 0.041 0.622 0.474
O -3.97711 2.93569 2.21265 -0.189 -0.010 -0.158 -0.065
O -1.75953 2.35919 3.12640 0.149 -0.038 0.140 -0.080
O -2.25227 1.58380 0.82599 0.311 -0.144 -0.560 -0.366
P -2.87223 -1.24359 2.38391 0.049 0.229 -0.148 0.329
O -1.34419 -0.88843 2.88736 -0.051 -0.084 -0.062 -0.208
O -3.49039 -2.34436 3.12812 -0.010 -0.041 0.003 -0.247
O -2.72659 -1.26481 0.86983 0.080 0.098 0.128 -0.392
H -4.35266 1.36848 4.64900 -0.005 -0.002 -0.002 0.092
H -2.85127 0.43488 4.85251 0.004 -0.004 -0.001 0.087
H -4.39639 -0.40312 4.72969 -0.001 -0.001 -0.003 0.093
H -5.47272 -0.39320 2.39425 0.016 0.003 0.029 0.117
H -4.86436 2.55771 2.08241 -0.025 0.064 -0.029 0.103
H -2.07096 2.82808 3.91162 -0.014 -0.011 -0.023 0.112
H -1.03902 -1.49080 3.57920 0.018 0.032 0.029 0.098
C -1.39059 -4.78606 -1.18917 0.031 -0.024 -0.020 0.005
O -2.12054 -3.70197 -1.80023 -0.006 -0.017 -0.035 0.014
C -1.71500 -2.49104 -1.48667 -0.027 0.053 0.128 -0.597
O -0.74217 -2.24461 -0.78120 0.040 0.033 -0.003 -0.068
N -2.48630 -1.54348 -2.07586 0.004 0.060 -0.096 0.036
N -2.33416 -0.21270 -1.67252 -0.022 -0.049 0.048 0.012
H -1.88161 -5.68762 -1.53626 0.003 -0.007 0.003 0.102
H -1.44938 -4.70597 -0.10649 0.002 0.002 -0.001 0.104
H -0.35295 -4.76393 -1.51533 -0.011 -0.017 0.018 0.092
H -3.35864 -1.83527 -2.49035 0.013 -0.005 0.007 0.168
H -3.16320 0.09550 -1.17119 -0.004 0.037 -0.016 0.094
H -2.15367 0.37598 -2.47753 -0.004 0.013 0.002 0.108
C 0.95485 3.32235 -2.69220 -0.013 -0.029 -0.024 -0.218
Si 1.51530 2.78972 -0.98698 0.025 -0.015 0.049 0.330
C 3.34019 3.15378 -0.75142 0.001 -0.001 -0.027 -0.208
C 0.49960 3.65050 0.32704 -0.026 -0.044 0.021 -0.217
Si 1.27379 0.44344 -0.87807 -0.200 0.017 0.063 0.452
Si 2.01626 -0.73772 -2.76168 -0.039 -0.012 0.012 0.336
C 3.59001 0.06444 -3.37780 0.024 0.014 -0.005 -0.210
C 0.65712 -0.59062 -4.04787 0.002 -0.010 -0.020 -0.209
C 2.31021 -2.53661 -2.34177 0.016 -0.009 0.006 -0.203
Si 2.12054 -0.45836 1.18537 0.028 0.088 0.029 0.322
C 3.96312 -0.46315 0.81444 -0.011 -0.017 -0.018 -0.198
C 1.79142 0.69872 2.62154 0.018 -0.009 0.015 -0.213
C 1.58039 -2.21378 1.53444 -0.024 -0.082 -0.037 -0.212
H 1.08756 4.39929 -2.81930 0.003 0.002 0.000 0.040
H -0.10211 3.09653 -2.84929 -0.007 0.015 0.006 0.027
H 1.52423 2.82039 -3.47674 0.015 0.014 -0.011 0.019
H 3.52666 4.22283 -0.88356 -0.002 0.002 0.003 0.041
H 3.95130 2.61468 -1.47821 0.004 0.009 0.009 0.024
H 3.68274 2.87858 0.24813 -0.017 0.009 0.002 0.022
H 0.72227 4.72044 0.33168 0.004 0.000 -0.012 0.042
H 0.70567 3.26023 1.32655 -0.003 0.019 -0.028 0.014
H -0.56774 3.52506 0.13603 0.004 0.011 0.013 0.015
+++

Reply:
Record 1
Formula: CH4OS2
Source: the Open Molecules 2025 dataset
Level of theory: ωB97M-V with the def2-TZVPD basis set

```
8
Properties=species:S:1:pos:R:3:forces:R:3:lowdin_charge:R:1
C -0.33719 -0.79600 0.21304 1.363 1.786 0.902 -0.309
O -1.44829 -0.43366 0.79926 -0.087 -1.034 1.282 -0.575
S 1.22405 1.07128 0.25963 -1.134 -2.001 -3.144 0.443
S -2.18022 0.80654 -0.00550 -0.050 0.698 -0.866 0.825
H 0.27225 -1.47616 0.74064 0.331 -0.814 0.457 0.068
H -0.38084 -0.78502 -0.84312 0.422 -0.247 -1.088 0.048
H 1.48768 1.42304 1.44427 0.046 0.296 2.570 -0.317
H -0.92708 1.03773 -0.52120 -0.892 1.316 -0.115 -0.184
```
Forces are in eV/Å.

Calculated values
- E_LUMO (eV) = -0.19
- highest occupied orbital energy (eV) = -8.8
- energy (hartree) = -911.99233
- orbital gap (eV) = 8.632
- energy relative to the best compared isomer or geometry (same formula, charge and spin) (kJ/mol) = 260.5
- total charge = 0
- spin multiplicity = 1

---

Record 2
Formula: C13H40N2O9P2RuSi4
Source: the Open Molecules 2025 dataset
Level of theory: ωB97M-V with the def2-TZVPD basis set

```
71
Properties=species:S:1:pos:R:3:forces:R:3:lowdin_charge:R:1
Ru -0.87992 -0.13102 0.33043 -0.002 -0.113 -0.117 1.238
C -3.82784 0.45314 4.36846 0.023 0.036 -0.026 -0.060
C -3.69633 0.34970 2.84929 -0.063 -0.094 0.129 -0.586
O -4.98730 0.42481 2.22018 0.032 0.000 -0.051 -0.068
P -2.87162 1.81813 2.15267 -0.170 0.041 0.622 0.474
O -3.97711 2.93569 2.21265 -0.189 -0.010 -0.158 -0.065
O -1.75953 2.35919 3.12640 0.149 -0.038 0.140 -0.080
O -2.25227 1.58380 0.82599 0.311 -0.144 -0.560 -0.366
P -2.87223 -1.24359 2.38391 0.049 0.229 -0.148 0.329
O -1.34419 -0.88843 2.88736 -0.051 -0.084 -0.062 -0.208
O -3.49039 -2.34436 3.12812 -0.010 -0.041 0.003 -0.247
O -2.72659 -1.26481 0.86983 0.080 0.098 0.128 -0.392
H -4.35266 1.36848 4.64900 -0.005 -0.002 -0.002 0.092
H -2.85127 0.43488 4.85251 0.004 -0.004 -0.001 0.087
H -4.39639 -0.40312 4.72969 -0.001 -0.001 -0.003 0.093
H -5.47272 -0.39320 2.39425 0.016 0.003 0.029 0.117
H -4.86436 2.55771 2.08241 -0.025 0.064 -0.029 0.103
H -2.07096 2.82808 3.91162 -0.014 -0.011 -0.023 0.112
H -1.03902 -1.49080 3.57920 0.018 0.032 0.029 0.098
C -1.39059 -4.78606 -1.18917 0.031 -0.024 -0.020 0.005
O -2.12054 -3.70197 -1.80023 -0.006 -0.017 -0.035 0.014
C -1.71500 -2.49104 -1.48667 -0.027 0.053 0.128 -0.597
O -0.74217 -2.24461 -0.78120 0.040 0.033 -0.003 -0.068
N -2.48630 -1.54348 -2.07586 0.004 0.060 -0.096 0.036
N -2.33416 -0.21270 -1.67252 -0.022 -0.049 0.048 0.012
H -1.88161 -5.68762 -1.53626 0.003 -0.007 0.003 0.102
H -1.44938 -4.70597 -0.10649 0.002 0.002 -0.001 0.104
H -0.35295 -4.76393 -1.51533 -0.011 -0.017 0.018 0.092
H -3.35864 -1.83527 -2.49035 0.013 -0.005 0.007 0.168
H -3.16320 0.09550 -1.17119 -0.004 0.037 -0.016 0.094
H -2.15367 0.37598 -2.47753 -0.004 0.013 0.002 0.108
C 0.95485 3.32235 -2.69220 -0.013 -0.029 -0.024 -0.218
Si 1.51530 2.78972 -0.98698 0.025 -0.015 0.049 0.330
C 3.34019 3.15378 -0.75142 0.001 -0.001 -0.027 -0.208
C 0.49960 3.65050 0.32704 -0.026 -0.044 0.021 -0.217
Si 1.27379 0.44344 -0.87807 -0.200 0.017 0.063 0.452
Si 2.01626 -0.73772 -2.76168 -0.039 -0.012 0.012 0.336
C 3.59001 0.06444 -3.37780 0.024 0.014 -0.005 -0.210
C 0.65712 -0.59062 -4.04787 0.002 -0.010 -0.020 -0.209
C 2.31021 -2.53661 -2.34177 0.016 -0.009 0.006 -0.203
Si 2.12054 -0.45836 1.18537 0.028 0.088 0.029 0.322
C 3.96312 -0.46315 0.81444 -0.011 -0.017 -0.018 -0.198
C 1.79142 0.69872 2.62154 0.018 -0.009 0.015 -0.213
C 1.58039 -2.21378 1.53444 -0.024 -0.082 -0.037 -0.212
H 1.08756 4.39929 -2.81930 0.003 0.002 0.000 0.040
H -0.10211 3.09653 -2.84929 -0.007 0.015 0.006 0.027
H 1.52423 2.82039 -3.47674 0.015 0.014 -0.011 0.019
H 3.52666 4.22283 -0.88356 -0.002 0.002 0.003 0.041
H 3.95130 2.61468 -1.47821 0.004 0.009 0.009 0.024
H 3.68274 2.87858 0.24813 -0.017 0.009 0.002 0.022
H 0.72227 4.72044 0.33168 0.004 0.000 -0.012 0.042
H 0.70567 3.26023 1.32655 -0.003 0.019 -0.028 0.014
H -0.56774 3.52506 0.13603 0.004 0.011 0.013 0.015